[Material]
# 1
First-principles (PBE-GGA) data for a relaxed structure of Cr2AsSe, as listed in the Materials Project database.

```
Cr2AsSe
1.0
3.875 0.000 0.000
-1.938 3.356 0.000
0.000 0.000 4.855
Cr As Se
2 1 1
direct
0.000 0.000 0.229
0.000 0.000 0.771
0.667 0.333 0.000
0.333 0.667 0.500
```

As for the total energy: -6.8767 eV/atom. Its space group is P-6m2, No. 187. The calculated formation energy comes out at -0.129 eV per atom. For the total moment, the calculation gives 1.33 Bohr magnetons per cell.

=====

# 2
First-principles (PBE-GGA) data for a relaxed structure of Cr2AsSe, as listed in the Materials Project database.

```
Cr2AsSe
1.0
3.766 0.000 0.000
-1.883 3.262 0.000
0.000 0.000 6.234
Cr As Se
2 1 1
direct
0.000 0.000 0.242
0.000 0.000 0.758
0.667 0.333 0.000
0.333 0.667 0.500
```

As for the total energy: -7.0699 eV/atom. Its space group is P-6m2, No. 187. The calculated formation energy comes out at -0.323 eV per atom. For the total moment, the calculation gives 6.97 Bohr magnetons per cell.

=====

# 3
First-principles (PBE-GGA) data for a relaxed structure of Cs3As11, as listed in the Materials Project database.

```
Cs3As11
1.0
6.780 -7.867 0.000
6.780 7.867 0.000
-1.762 0.000 19.834
Cs As
12 44
direct
0.025 0.745 0.120
0.203 0.711 0.609
0.255 0.975 0.380
0.289 0.797 0.891
0.305 0.470 0.371
0.470 0.305 0.871
0.530 0.695 0.129
0.695 0.530 0.629
0.711 0.203 0.109
0.745 0.025 0.620
0.797 0.289 0.391
0.975 0.255 0.880
0.010 0.637 0.397
0.024 0.285 0.245
0.053 0.149 0.059
0.068 0.392 0.070
0.070 0.094 0.181
0.094 0.070 0.681
0.114 0.310 0.701
0.118 0.271 0.520
0.149 0.053 0.559
0.166 0.442 0.186
0.252 0.476 0.006
0.271 0.118 0.020
0.285 0.024 0.745
0.310 0.114 0.201
0.336 0.397 0.554
0.350 0.376 0.679
0.363 0.990 0.103
0.376 0.350 0.179
0.392 0.068 0.570
0.397 0.336 0.054
0.442 0.166 0.686
0.476 0.252 0.506
0.524 0.748 0.494
0.558 0.834 0.314
0.603 0.664 0.946
0.608 0.932 0.430
0.624 0.650 0.821
0.637 0.010 0.897
0.650 0.624 0.321
0.664 0.603 0.446
0.690 0.886 0.799
0.715 0.976 0.255
0.729 0.882 0.980
0.748 0.524 0.994
0.834 0.558 0.814
0.851 0.947 0.441
0.882 0.729 0.480
0.886 0.690 0.299
0.906 0.930 0.319
0.930 0.906 0.819
0.932 0.608 0.930
0.947 0.851 0.941
0.976 0.715 0.755
0.990 0.363 0.603
```

As for the total energy: -4.1463 eV/atom. Its space group is C2/c, No. 15. The calculated formation energy comes out at -0.294 eV per atom.

=====

# 4
First-principles (PBE-GGA) data for a relaxed structure of Cs3As7, as listed in the Materials Project database.

```
Cs3As7
1.0
10.467 0.000 0.000
0.000 13.535 0.000
0.000 0.000 22.634
Cs As
24 56
direct
0.100 0.226 0.121
0.100 0.274 0.621
0.196 0.027 0.769
0.196 0.473 0.269
0.235 0.050 0.478
0.235 0.450 0.978
0.265 0.550 0.478
0.265 0.950 0.978
0.304 0.527 0.769
0.304 0.973 0.269
0.400 0.726 0.121
0.400 0.774 0.621
0.600 0.226 0.379
0.600 0.274 0.879
0.696 0.027 0.731
0.696 0.473 0.231
0.735 0.050 0.022
0.735 0.450 0.522
0.765 0.550 0.022
0.765 0.950 0.522
0.804 0.527 0.731
0.804 0.973 0.231
0.900 0.726 0.379
0.900 0.774 0.879
0.032 0.164 0.948
0.032 0.336 0.448
0.054 0.622 0.143
0.054 0.878 0.643
0.073 0.720 0.705
0.073 0.780 0.205
0.079 0.679 0.044
0.079 0.821 0.544
0.092 0.590 0.634
0.092 0.910 0.134
0.146 0.204 0.316
0.146 0.296 0.816
0.232 0.206 0.897
0.232 0.294 0.397
0.268 0.706 0.897
0.268 0.794 0.397
0.354 0.704 0.316
0.354 0.796 0.816
0.408 0.090 0.634
0.408 0.410 0.134
0.421 0.179 0.044
0.421 0.321 0.544
0.427 0.220 0.705
0.427 0.280 0.205
0.446 0.122 0.143
0.446 0.378 0.643
0.468 0.664 0.948
0.468 0.836 0.448
0.532 0.164 0.552
0.532 0.336 0.052
0.554 0.622 0.357
0.554 0.878 0.857
0.573 0.720 0.795
0.573 0.780 0.295
0.579 0.679 0.456
0.579 0.821 0.956
0.592 0.590 0.866
0.592 0.910 0.366
0.646 0.204 0.184
0.646 0.296 0.684
0.732 0.206 0.603
0.732 0.294 0.103
0.768 0.706 0.603
0.768 0.794 0.103
0.854 0.704 0.184
0.854 0.796 0.684
0.908 0.090 0.866
0.908 0.410 0.366
0.921 0.179 0.456
0.921 0.321 0.956
0.927 0.220 0.795
0.927 0.280 0.295
0.946 0.122 0.357
[Request]
Next, give back the lines above from the one with "0.252 0.476" to the one with "0.592 0.910" word for word.
[Solution]
0.252 0.476 0.006
0.271 0.118 0.020
0.285 0.024 0.745
0.310 0.114 0.201
0.336 0.397 0.554
0.350 0.376 0.679
0.363 0.990 0.103
0.376 0.350 0.179
0.392 0.068 0.570
0.397 0.336 0.054
0.442 0.166 0.686
0.476 0.252 0.506
0.524 0.748 0.494
0.558 0.834 0.314
0.603 0.664 0.946
0.608 0.932 0.430
0.624 0.650 0.821
0.637 0.010 0.897
0.650 0.624 0.321
0.664 0.603 0.446
0.690 0.886 0.799
0.715 0.976 0.255
0.729 0.882 0.980
0.748 0.524 0.994
0.834 0.558 0.814
0.851 0.947 0.441
0.882 0.729 0.480
0.886 0.690 0.299
0.906 0.930 0.319
0.930 0.906 0.819
0.932 0.608 0.930
0.947 0.851 0.941
0.976 0.715 0.755
0.990 0.363 0.603
```

As for the total energy: -4.1463 eV/atom. Its space group is C2/c, No. 15. The calculated formation energy comes out at -0.294 eV per atom.

=====

# 4
First-principles (PBE-GGA) data for a relaxed structure of Cs3As7, as listed in the Materials Project database.

```
Cs3As7
1.0
10.467 0.000 0.000
0.000 13.535 0.000
0.000 0.000 22.634
Cs As
24 56
direct
0.100 0.226 0.121
0.100 0.274 0.621
0.196 0.027 0.769
0.196 0.473 0.269
0.235 0.050 0.478
0.235 0.450 0.978
0.265 0.550 0.478
0.265 0.950 0.978
0.304 0.527 0.769
0.304 0.973 0.269
0.400 0.726 0.121
0.400 0.774 0.621
0.600 0.226 0.379
0.600 0.274 0.879
0.696 0.027 0.731
0.696 0.473 0.231
0.735 0.050 0.022
0.735 0.450 0.522
0.765 0.550 0.022
0.765 0.950 0.522
0.804 0.527 0.731
0.804 0.973 0.231
0.900 0.726 0.379
0.900 0.774 0.879
0.032 0.164 0.948
0.032 0.336 0.448
0.054 0.622 0.143
0.054 0.878 0.643
0.073 0.720 0.705
0.073 0.780 0.205
0.079 0.679 0.044
0.079 0.821 0.544
0.092 0.590 0.634
0.092 0.910 0.134
0.146 0.204 0.316
0.146 0.296 0.816
0.232 0.206 0.897
0.232 0.294 0.397
0.268 0.706 0.897
0.268 0.794 0.397
0.354 0.704 0.316
0.354 0.796 0.816
0.408 0.090 0.634
0.408 0.410 0.134
0.421 0.179 0.044
0.421 0.321 0.544
0.427 0.220 0.705
0.427 0.280 0.205
0.446 0.122 0.143
0.446 0.378 0.643
0.468 0.664 0.948
0.468 0.836 0.448
0.532 0.164 0.552
0.532 0.336 0.052
0.554 0.622 0.357
0.554 0.878 0.857
0.573 0.720 0.795
0.573 0.780 0.295
0.579 0.679 0.456
0.579 0.821 0.956
0.592 0.590 0.866
0.592 0.910 0.366